Entries.
[1]
Entry from Materials Project: a relaxed structure of Li6V3P8O29 (PBE+U).

Summary:
DFT formation energy   -2.6612 eV per atom
ΔE to the lowest computed polymorph   0.03 kcal/mol of atoms

Structure (extended XYZ):
```
92
Lattice="-1.8943 8.5142 4.4403 -3.4141 -8.3644 3.8199 11.6928 -1.3125 7.4918" Properties=species:S:1:pos:R:3 pbc="T T T"
O 2.1399 1.4906 11.5360
O 9.6793 -1.2096 8.8629
O 8.5145 -3.2304 7.9422
O 6.7794 1.3076 6.7479
O -1.2835 -0.2102 8.3917
O 5.1096 4.8309 9.9733
O 6.0105 -1.6788 12.0713
O 2.5033 1.4448 2.8103
O 0.6596 2.4656 7.9454
O -3.3208 0.1067 6.8909
O 3.1960 2.2683 7.7965
O 6.2036 0.6171 14.3472
O 2.3979 -1.0969 4.9733
O 4.0012 -0.0497 10.7837
O 1.7290 1.1787 6.0319
O 2.3617 5.9385 8.5719
O 3.2176 -3.4382 7.9383
O 0.6951 -1.2153 7.1351
O -0.9839 4.2582 6.6738
O 0.0233 -2.0046 1.4166
O 0.0027 -4.7467 7.5894
O -0.3933 -1.6931 4.7113
O 4.5704 1.4438 4.3118
O 0.6922 2.9627 3.8033
O 2.2122 -2.0815 2.6863
O 9.2740 5.5629 10.4891
O 5.7223 0.0174 8.6770
O -0.9892 0.7359 6.0235
O 4.4493 2.4338 11.0534
O 1.2664 -6.0227 5.7845
O 2.0289 -3.6001 4.7200
O 5.9494 -7.5615 8.6386
O 0.1650 5.4549 4.8099
O 1.9329 3.7166 6.1246
O 3.8099 -2.5576 12.8570
O -0.4274 -2.4593 9.0371
O 0.3459 0.4820 3.6521
O 6.8251 0.5871 11.1512
O 7.6551 -0.9577 7.3450
O 7.4626 -5.5629 8.9885
O 5.1762 5.6578 7.5803
O 4.5945 -2.3580 9.7618
O 0.3118 1.7966 1.5339
O 8.1592 1.6498 9.2536
O 5.7458 -3.5833 7.8175
O -0.5960 -4.2041 4.6641
O 4.4538 -4.9064 9.5918
O 1.0062 -0.4316 9.5047
O -2.6074 -2.7125 4.1186
O 5.3523 -0.7225 6.2851
O 7.3510 -1.8281 9.7122
O 6.1972 -6.6098 10.9308
O 5.6077 -4.1892 12.1359
O 7.1557 3.1159 11.0860
O -1.6865 -2.9402 6.5195
O 9.1012 1.5836 11.5937
O 6.4209 3.5408 8.2192
O -2.0980 2.0894 7.8003
Li 3.0045 -6.3713 8.6606
Li 3.7472 0.2354 5.5875
Li 3.3289 5.2021 7.0473
Li 8.4916 4.5365 11.9367
Li -0.8633 -0.8683 2.7647
Li 5.2730 -2.6388 5.8375
Li -1.0429 2.7604 5.1299
Li -5.0377 0.2474 8.0216
Li 10.0597 0.7716 8.8263
Li 1.0624 1.4879 9.8792
Li 2.6124 -1.4251 10.1505
Li 7.2550 -0.3254 12.9831
P 3.6182 1.2272 11.5646
P 5.9277 4.9413 8.6662
P -1.4105 -2.8925 4.9706
P -1.9769 0.6760 7.2368
P 2.7647 -2.3675 4.1856
P 5.4086 -2.8687 12.8836
P 7.0347 -6.8777 9.6431
P 1.9322 2.4191 7.0194
P 6.3076 -0.0736 7.2456
P 7.8329 1.7319 10.7863
P -0.6387 5.6616 6.0879
P 4.4662 -3.5675 8.7494
P 0.4326 -6.1267 7.0741
P 0.0621 -1.0920 8.5337
P 0.9174 1.7056 2.9017
P 8.3311 -1.8085 8.5458
V 5.7550 -0.8981 10.3161
V 0.9408 -5.0292 4.0500
V 0.6108 -0.2778 5.4914
V -1.6004 -3.8575 8.1377
V 5.4162 3.8871 11.7251
V 7.9711 2.7137 7.5663
```

[2]
Entry from Materials Project: a relaxed structure of Sr2CaWO6 (PBE+U).

Summary:
DFT formation energy   -3.0289 eV per atom

Structure (extended XYZ):
```
10
Lattice="-5.8345 0.0000 0.0000 2.9172 -2.9172 -4.2243 0.0000 -5.8345 0.0000" Properties=species:S:1:pos:R:3 pbc="T T T"
O -4.8889 -1.7126 0.0000
O -1.7126 -0.9455 0.0000
O -4.1219 -4.8889 0.0000
O -0.9455 -4.1219 0.0000
O 0.0000 -5.8345 -1.9551
O -2.9172 -2.9172 -2.2693
W 0.0000 0.0000 0.0000
Ca -2.9172 -2.9172 0.0000
Sr 0.0000 -2.9172 -2.1122
Sr -2.9172 -5.8345 -2.1122
```

[3]
Entry from Materials Project: a relaxed structure of FeH12C4S4O6 (PBE+U).

Summary:
DFT formation energy   -0.8099 eV per atom

Structure (extended XYZ):
```
27
Lattice="6.7214 0.2407 2.1598 0.8516 6.9606 2.3853 0.3729 0.1483 7.6338" Properties=species:S:1:pos:R:3 pbc="T T T"
H 2.1616 2.6895 3.0914
H 6.6438 3.5700 9.8096
H 5.7844 4.6601 9.0876
H 3.4501 2.1844 5.1075
H 6.0632 5.0411 5.3263
H 1.8828 2.3085 6.8526
H 1.3021 3.7796 2.3693
H 1.7821 2.3860 8.4877
H 6.1638 4.9636 3.6913
H 4.4958 5.1653 7.0715
H 2.9071 3.6577 5.1824
H 5.0389 3.6920 6.9966
S 5.1901 1.0844 4.0619
S 2.7558 6.2652 8.1170
S 2.5477 6.0672 4.1962
S 5.3982 1.2824 7.9828
C 1.7183 6.7227 6.9084
C 6.2277 0.6270 5.2705
C 6.3063 0.7006 6.7237
C 1.6396 6.6490 5.4552
O 1.9280 3.0322 2.2070
O 2.6465 2.7229 5.3169
O 5.2994 4.6267 6.8621
O 6.0180 4.3174 9.9719
O 1.3138 2.0849 7.6431
O 6.6321 5.2647 4.5359

Exercise.
Now copy the block further above exactly.

Reply.
[1]
Entry from Materials Project: a relaxed structure of Li6V3P8O29 (PBE+U).

Summary:
DFT formation energy   -2.6612 eV per atom
ΔE to the lowest computed polymorph   0.03 kcal/mol of atoms

Structure (extended XYZ):
```
92
Lattice="-1.8943 8.5142 4.4403 -3.4141 -8.3644 3.8199 11.6928 -1.3125 7.4918" Properties=species:S:1:pos:R:3 pbc="T T T"
O 2.1399 1.4906 11.5360
O 9.6793 -1.2096 8.8629
O 8.5145 -3.2304 7.9422
O 6.7794 1.3076 6.7479
O -1.2835 -0.2102 8.3917
O 5.1096 4.8309 9.9733
O 6.0105 -1.6788 12.0713
O 2.5033 1.4448 2.8103
O 0.6596 2.4656 7.9454
O -3.3208 0.1067 6.8909
O 3.1960 2.2683 7.7965
O 6.2036 0.6171 14.3472
O 2.3979 -1.0969 4.9733
O 4.0012 -0.0497 10.7837
O 1.7290 1.1787 6.0319
O 2.3617 5.9385 8.5719
O 3.2176 -3.4382 7.9383
O 0.6951 -1.2153 7.1351
O -0.9839 4.2582 6.6738
O 0.0233 -2.0046 1.4166
O 0.0027 -4.7467 7.5894
O -0.3933 -1.6931 4.7113
O 4.5704 1.4438 4.3118
O 0.6922 2.9627 3.8033
O 2.2122 -2.0815 2.6863
O 9.2740 5.5629 10.4891
O 5.7223 0.0174 8.6770
O -0.9892 0.7359 6.0235
O 4.4493 2.4338 11.0534
O 1.2664 -6.0227 5.7845
O 2.0289 -3.6001 4.7200
O 5.9494 -7.5615 8.6386
O 0.1650 5.4549 4.8099
O 1.9329 3.7166 6.1246
O 3.8099 -2.5576 12.8570
O -0.4274 -2.4593 9.0371
O 0.3459 0.4820 3.6521
O 6.8251 0.5871 11.1512
O 7.6551 -0.9577 7.3450
O 7.4626 -5.5629 8.9885
O 5.1762 5.6578 7.5803
O 4.5945 -2.3580 9.7618
O 0.3118 1.7966 1.5339
O 8.1592 1.6498 9.2536
O 5.7458 -3.5833 7.8175
O -0.5960 -4.2041 4.6641
O 4.4538 -4.9064 9.5918
O 1.0062 -0.4316 9.5047
O -2.6074 -2.7125 4.1186
O 5.3523 -0.7225 6.2851
O 7.3510 -1.8281 9.7122
O 6.1972 -6.6098 10.9308
O 5.6077 -4.1892 12.1359
O 7.1557 3.1159 11.0860
O -1.6865 -2.9402 6.5195
O 9.1012 1.5836 11.5937
O 6.4209 3.5408 8.2192
O -2.0980 2.0894 7.8003
Li 3.0045 -6.3713 8.6606
Li 3.7472 0.2354 5.5875
Li 3.3289 5.2021 7.0473
Li 8.4916 4.5365 11.9367
Li -0.8633 -0.8683 2.7647
Li 5.2730 -2.6388 5.8375
Li -1.0429 2.7604 5.1299
Li -5.0377 0.2474 8.0216
Li 10.0597 0.7716 8.8263
Li 1.0624 1.4879 9.8792
Li 2.6124 -1.4251 10.1505
Li 7.2550 -0.3254 12.9831
P 3.6182 1.2272 11.5646
P 5.9277 4.9413 8.6662
P -1.4105 -2.8925 4.9706
P -1.9769 0.6760 7.2368
P 2.7647 -2.3675 4.1856
P 5.4086 -2.8687 12.8836
P 7.0347 -6.8777 9.6431
P 1.9322 2.4191 7.0194
P 6.3076 -0.0736 7.2456
P 7.8329 1.7319 10.7863
P -0.6387 5.6616 6.0879
P 4.4662 -3.5675 8.7494
P 0.4326 -6.1267 7.0741
P 0.0621 -1.0920 8.5337
P 0.9174 1.7056 2.9017
P 8.3311 -1.8085 8.5458
V 5.7550 -0.8981 10.3161
V 0.9408 -5.0292 4.0500
V 0.6108 -0.2778 5.4914
V -1.6004 -3.8575 8.1377
V 5.4162 3.8871 11.7251
V 7.9711 2.7137 7.5663
```

[2]
Entry from Materials Project: a relaxed structure of Sr2CaWO6 (PBE+U).

Summary:
DFT formation energy   -3.0289 eV per atom

Structure (extended XYZ):
```
10
Lattice="-5.8345 0.0000 0.0000 2.9172 -2.9172 -4.2243 0.0000 -5.8345 0.0000" Properties=species:S:1:pos:R:3 pbc="T T T"
O -4.8889 -1.7126 0.0000
O -1.7126 -0.9455 0.0000
O -4.1219 -4.8889 0.0000
O -0.9455 -4.1219 0.0000
O 0.0000 -5.8345 -1.9551
O -2.9172 -2.9172 -2.2693
W 0.0000 0.0000 0.0000
Ca -2.9172 -2.9172 0.0000
Sr 0.0000 -2.9172 -2.1122
Sr -2.9172 -5.8345 -2.1122
```

[3]
Entry from Materials Project: a relaxed structure of FeH12C4S4O6 (PBE+U).

Summary:
DFT formation energy   -0.8099 eV per atom

Structure (extended XYZ):
```
27
Lattice="6.7214 0.2407 2.1598 0.8516 6.9606 2.3853 0.3729 0.1483 7.6338" Properties=species:S:1:pos:R:3 pbc="T T T"
H 2.1616 2.6895 3.0914
H 6.6438 3.5700 9.8096
H 5.7844 4.6601 9.0876
H 3.4501 2.1844 5.1075
H 6.0632 5.0411 5.3263
H 1.8828 2.3085 6.8526
H 1.3021 3.7796 2.3693
H 1.7821 2.3860 8.4877
H 6.1638 4.9636 3.6913
H 4.4958 5.1653 7.0715
H 2.9071 3.6577 5.1824
H 5.0389 3.6920 6.9966
S 5.1901 1.0844 4.0619
S 2.7558 6.2652 8.1170
S 2.5477 6.0672 4.1962
S 5.3982 1.2824 7.9828
C 1.7183 6.7227 6.9084
C 6.2277 0.6270 5.2705
C 6.3063 0.7006 6.7237
C 1.6396 6.6490 5.4552
O 1.9280 3.0322 2.2070
O 2.6465 2.7229 5.3169
O 5.2994 4.6267 6.8621
O 6.0180 4.3174 9.9719
O 1.3138 2.0849 7.6431
O 6.6321 5.2647 4.5359